Material >
<<<
[1]
This record from Alexandria describes YMg2Sc after structural relaxation. The functional is PBEsol.

POSCAR file:
```
YMg2Sc
1.0
3.6566 0.0000 0.0000
0.0000 3.6566 0.0000
0.0000 0.0000 7.3571
Sc Mg Y
1 2 1
Cartesian
1.8283 1.8283 0.0000
0.0000 0.0000 1.7043
0.0000 0.0000 5.6528
1.8283 1.8283 3.6785
```

The value obtained for the formation enthalpy at 0 K is -0.24 eV/f.u. As for the space group: P4/mmm, No. 123.

=====

[2]
This record from Alexandria describes CdMoSe2 after structural relaxation. The functional is PBEsol.

POSCAR file:
```
CdMoSe2
1.0
4.6161 0.0000 0.0000
2.3080 3.9976 0.0000
2.3080 1.3325 3.7690
Cd Se Mo
1 2 1
Cartesian
4.6161 2.6651 1.8845
6.9241 3.9976 2.8267
2.3080 1.3325 0.9422
0.0000 0.0000 0.0000
```

For the energy relative to the elements, uncorrected, the calculation gives 0.188 eV per atom. As for the space group: Fm-3m, No. 225.

=====

[3]
This record from Alexandria describes IrOs3 after structural relaxation. The functional is PBEsol.

POSCAR file:
```
IrOs3
1.0
-0.4100 3.0776 -1.0601
-1.6483 -1.1177 -2.6072
-4.6114 0.3397 2.7699
Os Ir
3 1
Cartesian
-4.4946 1.2353 0.2479
-2.3057 0.1699 1.3849
-2.1752 1.0644 -1.1453
0.0000 0.0000 0.0000
```

The value obtained for the formation enthalpy at 0 K is 2.72 eV/f.u. As for the space group: P4/mmm, No. 123.

----------

A relaxed structure of AcSm9Th2. Source: the Alexandria database, functional PBE-GGA.

Geometry as POSCAR:
```
AcSm9Th2
1.0
-2.049 -3.166 -3.510
-0.202 -3.763 3.512
-14.197 4.614 4.126
Sm Th Ac
9 2 1
Direct
0.500 0.500 0.664
0.000 0.500 0.500
0.500 0.500 0.000
0.500 0.000 0.825
0.500 0.000 0.175
0.000 0.500 0.825
0.000 0.500 0.175
0.500 0.500 0.336
0.500 0.000 0.500
0.000 0.000 0.336
0.000 0.000 0.664
0.000 0.000 0.000
```

Values from the calculation:
DOS at the Fermi energy: 14.6 states/eV per cell
ΔH_f (0 K): 49 kJ/mol of formula units

---

A relaxed structure of Sr3Ga2Cu9. Source: the Alexandria database, functional PBE-GGA.

Geometry as POSCAR:
```
Sr3Ga2Cu9
1.0
4.225 0.000 0.000
2.112 8.064 -0.090
2.112 1.740 7.875
Cu Ga Sr
9 2 3
Direct
0.695 0.599 0.010
0.000 0.500 0.500
0.305 0.990 0.401
0.305 0.401 0.990
0.894 0.391 0.821
0.106 0.179 0.609
0.106 0.609 0.179
0.695 0.010 0.599
0.894 0.821 0.391
0.500 0.274 0.726
0.500 0.726 0.274
0.697 0.303 0.303
0.303 0.697 0.697
0.000 0.000 0.000
```

Values from the calculation:
DOS at the Fermi energy: 6.0 states/eV per cell
ΔH_f (0 K): -166 kJ/mol of formula units

---

A relaxed structure of NdHoCdAu. Source: the Alexandria database, functional PBE-GGA.

Geometry as POSCAR:
```
NdHoCdAu
1.0
5.259 0.000 0.000
2.630 4.555 0.000
2.630 1.518 4.294
Ho Au Cd Nd
1 1 1 1
Direct
0.500 0.500 0.500
0.250 0.250 0.250
0.750 0.750 0.750
0.000 0.000 0.000
```

Values from the calculation:
DOS at the Fermi energy: 2.9 states/eV per cell
ΔH_f (0 K): -204 kJ/mol of formula units

---

A relaxed structure of SrTaAg. Source: the Alexandria database, functional PBE-GGA.

Geometry as POSCAR:
```
SrTaAg
1.0
8.387 -0.012 0.001
-2.045 5.744 0.013
0.001 -0.939 3.133
Sr Ta Ag
2 2 2
Direct
0.893 0.776 0.703
0.626 0.142 0.388
0.272 0.702 0.667
0.456 0.537 0.084
0.022 0.357 0.995
0.243 0.122 0.376
```

Values from the calculation:
DOS at the Fermi energy: 5.7 states/eV per cell
ΔH_f (0 K): 133 kJ/mol of formula units

---

A relaxed structure of CaAl2SiPd4. Source: the Alexandria database, functional PBE-GGA.

Geometry as POSCAR:
```
CaAl2SiPd4
1.0
4.313 0.000 0.000
2.156 3.735 0.000
2.156 1.245 8.568
Pd Si Al Ca
4 1 2 1
Direct
0.137 0.137 0.590
0.593 0.593 0.221
0.407 0.407 0.779
0.863 0.863 0.410
0.500 0.500 0.500
0.758 0.758 0.727
0.242 0.242 0.273
0.000 0.000 0.000
```

Values from the calculation:
DOS at the Fermi energy: 2.5 states/eV per cell
E_form (uncorrected): -0.7229 eV/atom

---

A relaxed structure of Pr4ThIn5. Source: the Alexandria database, functional PBE-GGA.

Geometry as POSCAR:
```
Pr4ThIn5
1.0
3.627 0.000 0.000
0.000 3.627 0.000
0.000 0.000 22.276
In Th Pr
5 1 4
Direct
0.500 0.500 0.500
>>>
Activity >
Your job: copy all of the notes earlier on word for word.
Solution >
[1]
This record from Alexandria describes YMg2Sc after structural relaxation. The functional is PBEsol.

POSCAR file:
```
YMg2Sc
1.0
3.6566 0.0000 0.0000
0.0000 3.6566 0.0000
0.0000 0.0000 7.3571
Sc Mg Y
1 2 1
Cartesian
1.8283 1.8283 0.0000
0.0000 0.0000 1.7043
0.0000 0.0000 5.6528
1.8283 1.8283 3.6785
```

The value obtained for the formation enthalpy at 0 K is -0.24 eV/f.u. As for the space group: P4/mmm, No. 123.

=====

[2]
This record from Alexandria describes CdMoSe2 after structural relaxation. The functional is PBEsol.

POSCAR file:
```
CdMoSe2
1.0
4.6161 0.0000 0.0000
2.3080 3.9976 0.0000
2.3080 1.3325 3.7690
Cd Se Mo
1 2 1
Cartesian
4.6161 2.6651 1.8845
6.9241 3.9976 2.8267
2.3080 1.3325 0.9422
0.0000 0.0000 0.0000
```

For the energy relative to the elements, uncorrected, the calculation gives 0.188 eV per atom. As for the space group: Fm-3m, No. 225.

=====

[3]
This record from Alexandria describes IrOs3 after structural relaxation. The functional is PBEsol.

POSCAR file:
```
IrOs3
1.0
-0.4100 3.0776 -1.0601
-1.6483 -1.1177 -2.6072
-4.6114 0.3397 2.7699
Os Ir
3 1
Cartesian
-4.4946 1.2353 0.2479
-2.3057 0.1699 1.3849
-2.1752 1.0644 -1.1453
0.0000 0.0000 0.0000
```

The value obtained for the formation enthalpy at 0 K is 2.72 eV/f.u. As for the space group: P4/mmm, No. 123.

----------

A relaxed structure of AcSm9Th2. Source: the Alexandria database, functional PBE-GGA.

Geometry as POSCAR:
```
AcSm9Th2
1.0
-2.049 -3.166 -3.510
-0.202 -3.763 3.512
-14.197 4.614 4.126
Sm Th Ac
9 2 1
Direct
0.500 0.500 0.664
0.000 0.500 0.500
0.500 0.500 0.000
0.500 0.000 0.825
0.500 0.000 0.175
0.000 0.500 0.825
0.000 0.500 0.175
0.500 0.500 0.336
0.500 0.000 0.500
0.000 0.000 0.336
0.000 0.000 0.664
0.000 0.000 0.000
```

Values from the calculation:
DOS at the Fermi energy: 14.6 states/eV per cell
ΔH_f (0 K): 49 kJ/mol of formula units

---

A relaxed structure of Sr3Ga2Cu9. Source: the Alexandria database, functional PBE-GGA.

Geometry as POSCAR:
```
Sr3Ga2Cu9
1.0
4.225 0.000 0.000
2.112 8.064 -0.090
2.112 1.740 7.875
Cu Ga Sr
9 2 3
Direct
0.695 0.599 0.010
0.000 0.500 0.500
0.305 0.990 0.401
0.305 0.401 0.990
0.894 0.391 0.821
0.106 0.179 0.609
0.106 0.609 0.179
0.695 0.010 0.599
0.894 0.821 0.391
0.500 0.274 0.726
0.500 0.726 0.274
0.697 0.303 0.303
0.303 0.697 0.697
0.000 0.000 0.000
```

Values from the calculation:
DOS at the Fermi energy: 6.0 states/eV per cell
ΔH_f (0 K): -166 kJ/mol of formula units

---

A relaxed structure of NdHoCdAu. Source: the Alexandria database, functional PBE-GGA.

Geometry as POSCAR:
```
NdHoCdAu
1.0
5.259 0.000 0.000
2.630 4.555 0.000
2.630 1.518 4.294
Ho Au Cd Nd
1 1 1 1
Direct
0.500 0.500 0.500
0.250 0.250 0.250
0.750 0.750 0.750
0.000 0.000 0.000
```

Values from the calculation:
DOS at the Fermi energy: 2.9 states/eV per cell
ΔH_f (0 K): -204 kJ/mol of formula units

---

A relaxed structure of SrTaAg. Source: the Alexandria database, functional PBE-GGA.

Geometry as POSCAR:
```
SrTaAg
1.0
8.387 -0.012 0.001
-2.045 5.744 0.013
0.001 -0.939 3.133
Sr Ta Ag
2 2 2
Direct
0.893 0.776 0.703
0.626 0.142 0.388
0.272 0.702 0.667
0.456 0.537 0.084
0.022 0.357 0.995
0.243 0.122 0.376
```

Values from the calculation:
DOS at the Fermi energy: 5.7 states/eV per cell
ΔH_f (0 K): 133 kJ/mol of formula units

---

A relaxed structure of CaAl2SiPd4. Source: the Alexandria database, functional PBE-GGA.

Geometry as POSCAR:
```
CaAl2SiPd4
1.0
4.313 0.000 0.000
2.156 3.735 0.000
2.156 1.245 8.568
Pd Si Al Ca
4 1 2 1
Direct
0.137 0.137 0.590
0.593 0.593 0.221
0.407 0.407 0.779
0.863 0.863 0.410
0.500 0.500 0.500
0.758 0.758 0.727
0.242 0.242 0.273
0.000 0.000 0.000
```

Values from the calculation:
DOS at the Fermi energy: 2.5 states/eV per cell
E_form (uncorrected): -0.7229 eV/atom

---

A relaxed structure of Pr4ThIn5. Source: the Alexandria database, functional PBE-GGA.

Geometry as POSCAR:
```
Pr4ThIn5
1.0
3.627 0.000 0.000
0.000 3.627 0.000
0.000 0.000 22.276
In Th Pr
5 1 4
Direct
0.500 0.500 0.500